### Assignment
It remains to set down all of the data underneath exactly.

### Input
********
No. 1
## VSnH9C3O3 (PBE with a Hubbard U)

Data for an optimized crystal structure of VSnH9C3O3.

Cell and atoms, written as extended XYZ:
```
136
Lattice="13.6613 0.0000 0.0000 0.0000 11.7055 0.0000 -4.5815 0.0000 10.4724" Properties=species:S:1:pos:R:3 pbc="T T T"
V 0.2244 2.4439 4.6845
V -2.0664 3.4089 9.9207
V 3.1074 2.7344 2.8068
V 0.8166 3.1183 8.0430
V 8.2633 8.5871 2.4294
V 5.9725 8.9711 7.6656
V 11.1462 8.2966 0.5517
V 8.8555 9.2616 5.7878
Sn -3.0522 6.6977 8.2523
Sn -0.7614 10.8605 3.0162
Sn 3.1227 6.2285 7.8048
Sn 5.4134 11.3297 2.5687
Sn 3.6665 0.3757 7.9037
Sn 5.9572 5.4770 2.6675
Sn 9.8413 0.8450 7.4562
Sn 12.1320 5.0078 2.2200
H -3.7955 8.2697 10.3396
H -1.5047 9.2886 5.1034
H -1.6854 6.5838 5.9091
H 0.6053 10.9745 0.6729
H 0.2463 7.0617 2.3772
H -2.0444 10.4965 7.6134
H -0.3705 8.3832 4.0597
H -2.6612 9.1750 9.2959
H -1.2314 0.2281 6.9235
H 1.0593 5.6246 1.6873
H 1.1478 0.6101 1.7318
H -1.1429 5.2427 6.9680
H -1.5040 0.1226 8.6907
H 0.7868 5.7301 3.4545
H -2.0373 7.9465 10.4447
H 0.2534 9.6117 5.2085
H -0.5368 6.9000 7.2425
H 1.7539 10.6582 2.0063
H 1.8542 7.0485 5.5476
H 4.1450 10.5097 0.3114
H 3.4661 6.5201 2.3447
H 1.1754 11.0381 7.5809
H 4.6169 0.5233 0.1281
H 2.3261 5.3294 5.3643
H 4.3631 6.6483 0.8061
H 2.0724 10.9099 6.0423
H 1.3698 8.1454 8.6433
H 3.6605 9.4128 3.4071
H 4.6889 7.8197 2.1205
H 2.3982 9.7385 7.3567
H 3.5457 6.6281 5.1469
H 1.2550 10.9301 10.3831
H 1.6114 6.9527 9.9496
H 3.9021 10.6055 4.7134
H 3.9433 2.3598 6.0554
H 6.2340 3.4929 0.8192
H 2.8459 8.2126 9.6532
H 5.1366 9.3457 4.4170
H 5.1777 1.1000 5.7590
H 7.4685 4.7528 0.5228
H 7.8249 0.7754 0.0893
H 5.5341 5.0774 5.3254
H 6.6817 1.9670 3.1157
H 4.3910 3.8857 8.3518
H 5.4194 2.2927 7.0653
H 7.7101 3.5600 1.8291
H 7.0075 0.7956 4.4300
H 4.7167 5.0572 9.6662
H 6.7537 6.3761 5.1081
H 4.4630 11.1821 10.3443
H 7.9045 0.6673 2.8915
H 5.6138 5.1854 8.1277
H 4.9349 1.1957 10.1610
H 7.2256 4.6570 4.9248
H 7.3260 1.0473 8.4660
H 9.6167 4.8055 3.2299
H 8.8265 2.0938 5.2639
H 11.1172 3.7589 0.0277
H 8.2931 5.9753 7.0179
H 10.5838 11.5829 1.7817
H 10.2228 6.4628 3.5044
H 7.9321 11.0954 8.7406
H 8.0205 6.0809 8.7851
H 10.3113 11.4774 3.5489
H 11.7411 2.5305 1.1765
H 9.4504 3.3223 6.4127
H 11.1243 1.2090 2.8590
H 8.8335 4.6437 8.0951
H 8.4746 0.7310 9.7995
H 10.7653 5.1217 4.5633
H 10.5846 2.4169 5.3689
H 12.8753 3.4358 0.1327
C -2.8603 8.2084 9.7708
C -0.5696 9.3498 4.5346
C 0.3761 5.9773 2.4695
C -1.9146 11.5809 7.7057
C -1.4025 6.3054 6.9288
C 0.8882 11.2528 1.6927
C 2.6563 6.3172 5.7049
C 4.9470 11.2410 0.4687
C 4.4295 6.7810 1.8924
C 2.1388 10.7772 7.1285
C 2.1148 7.5471 9.1800
C 4.4055 10.0111 3.9438
C 4.6744 1.6943 6.5285
C 6.9651 4.1584 1.2923
C 6.9411 0.9283 3.3438
C 4.6503 4.9244 8.5800
C 4.1328 0.4645 10.0037
C 6.4236 5.3883 4.7675
C 8.1916 0.4527 8.7797
C 10.4824 5.4000 3.5435
C 10.9945 0.1245 2.7667
C 8.7038 5.7282 8.0028
C 9.6495 2.3557 5.9377
C 11.9402 3.4971 0.7016
O -3.1609 2.5464 8.9913
O -0.8702 3.3064 3.7551
O -0.0282 0.7878 4.4432
O -2.3189 5.0649 9.6794
O 0.0112 2.8644 6.4472
O 2.3019 2.9883 1.2110
O 1.8861 2.8961 4.1517
O -0.4047 2.9567 9.3879
O 3.7922 1.1957 2.8397
O 1.5015 4.6570 8.0759
O 2.0221 1.9752 8.2530
O 4.3128 3.8776 3.0168
O 4.7671 7.8279 7.4555
O 7.0578 9.7303 2.2194
O 7.5784 7.0484 2.3965
O 5.2877 10.5098 7.6327
O 9.4845 8.7488 1.0844
O 7.1938 8.8094 6.3206
O 6.7779 8.7172 9.2613
O 9.0687 8.8410 4.0251
O 11.3988 6.6406 0.7930
O 9.1081 10.9177 6.0291
O 9.9500 8.3991 6.7172
O 12.2408 9.1591 1.4811
```

The corrected total energy (MP2020 scheme) comes out at -5.73 eV/atom. As for the formation enthalpy at 0 K: -0.67 eV/atom. The space group is P2_1/c.

No. 2
## V2Sn4H24C8O9 (PBE with a Hubbard U)

Data for an optimized crystal structure of V2Sn4H24C8O9.

Cell and atoms, written as extended XYZ:
```
188
Lattice="12.8490 0.0000 0.0000 0.0000 13.7164 0.0000 0.0000 0.0000 13.5658" Properties=species:S:1:pos:R:3 pbc="T T T"
V 0.3025 1.7849 3.3688
V 0.3025 1.7849 10.1970
V 6.1220 8.6431 3.4141
V 6.1220 8.6431 10.1517
********

### Done
No. 1
## VSnH9C3O3 (PBE with a Hubbard U)

Data for an optimized crystal structure of VSnH9C3O3.

Cell and atoms, written as extended XYZ:
```
136
Lattice="13.6613 0.0000 0.0000 0.0000 11.7055 0.0000 -4.5815 0.0000 10.4724" Properties=species:S:1:pos:R:3 pbc="T T T"
V 0.2244 2.4439 4.6845
V -2.0664 3.4089 9.9207
V 3.1074 2.7344 2.8068
V 0.8166 3.1183 8.0430
V 8.2633 8.5871 2.4294
V 5.9725 8.9711 7.6656
V 11.1462 8.2966 0.5517
V 8.8555 9.2616 5.7878
Sn -3.0522 6.6977 8.2523
Sn -0.7614 10.8605 3.0162
Sn 3.1227 6.2285 7.8048
Sn 5.4134 11.3297 2.5687
Sn 3.6665 0.3757 7.9037
Sn 5.9572 5.4770 2.6675
Sn 9.8413 0.8450 7.4562
Sn 12.1320 5.0078 2.2200
H -3.7955 8.2697 10.3396
H -1.5047 9.2886 5.1034
H -1.6854 6.5838 5.9091
H 0.6053 10.9745 0.6729
H 0.2463 7.0617 2.3772
H -2.0444 10.4965 7.6134
H -0.3705 8.3832 4.0597
H -2.6612 9.1750 9.2959
H -1.2314 0.2281 6.9235
H 1.0593 5.6246 1.6873
H 1.1478 0.6101 1.7318
H -1.1429 5.2427 6.9680
H -1.5040 0.1226 8.6907
H 0.7868 5.7301 3.4545
H -2.0373 7.9465 10.4447
H 0.2534 9.6117 5.2085
H -0.5368 6.9000 7.2425
H 1.7539 10.6582 2.0063
H 1.8542 7.0485 5.5476
H 4.1450 10.5097 0.3114
H 3.4661 6.5201 2.3447
H 1.1754 11.0381 7.5809
H 4.6169 0.5233 0.1281
H 2.3261 5.3294 5.3643
H 4.3631 6.6483 0.8061
H 2.0724 10.9099 6.0423
H 1.3698 8.1454 8.6433
H 3.6605 9.4128 3.4071
H 4.6889 7.8197 2.1205
H 2.3982 9.7385 7.3567
H 3.5457 6.6281 5.1469
H 1.2550 10.9301 10.3831
H 1.6114 6.9527 9.9496
H 3.9021 10.6055 4.7134
H 3.9433 2.3598 6.0554
H 6.2340 3.4929 0.8192
H 2.8459 8.2126 9.6532
H 5.1366 9.3457 4.4170
H 5.1777 1.1000 5.7590
H 7.4685 4.7528 0.5228
H 7.8249 0.7754 0.0893
H 5.5341 5.0774 5.3254
H 6.6817 1.9670 3.1157
H 4.3910 3.8857 8.3518
H 5.4194 2.2927 7.0653
H 7.7101 3.5600 1.8291
H 7.0075 0.7956 4.4300
H 4.7167 5.0572 9.6662
H 6.7537 6.3761 5.1081
H 4.4630 11.1821 10.3443
H 7.9045 0.6673 2.8915
H 5.6138 5.1854 8.1277
H 4.9349 1.1957 10.1610
H 7.2256 4.6570 4.9248
H 7.3260 1.0473 8.4660
H 9.6167 4.8055 3.2299
H 8.8265 2.0938 5.2639
H 11.1172 3.7589 0.0277
H 8.2931 5.9753 7.0179
H 10.5838 11.5829 1.7817
H 10.2228 6.4628 3.5044
H 7.9321 11.0954 8.7406
H 8.0205 6.0809 8.7851
H 10.3113 11.4774 3.5489
H 11.7411 2.5305 1.1765
H 9.4504 3.3223 6.4127
H 11.1243 1.2090 2.8590
H 8.8335 4.6437 8.0951
H 8.4746 0.7310 9.7995
H 10.7653 5.1217 4.5633
H 10.5846 2.4169 5.3689
H 12.8753 3.4358 0.1327
C -2.8603 8.2084 9.7708
C -0.5696 9.3498 4.5346
C 0.3761 5.9773 2.4695
C -1.9146 11.5809 7.7057
C -1.4025 6.3054 6.9288
C 0.8882 11.2528 1.6927
C 2.6563 6.3172 5.7049
C 4.9470 11.2410 0.4687
C 4.4295 6.7810 1.8924
C 2.1388 10.7772 7.1285
C 2.1148 7.5471 9.1800
C 4.4055 10.0111 3.9438
C 4.6744 1.6943 6.5285
C 6.9651 4.1584 1.2923
C 6.9411 0.9283 3.3438
C 4.6503 4.9244 8.5800
C 4.1328 0.4645 10.0037
C 6.4236 5.3883 4.7675
C 8.1916 0.4527 8.7797
C 10.4824 5.4000 3.5435
C 10.9945 0.1245 2.7667
C 8.7038 5.7282 8.0028
C 9.6495 2.3557 5.9377
C 11.9402 3.4971 0.7016
O -3.1609 2.5464 8.9913
O -0.8702 3.3064 3.7551
O -0.0282 0.7878 4.4432
O -2.3189 5.0649 9.6794
O 0.0112 2.8644 6.4472
O 2.3019 2.9883 1.2110
O 1.8861 2.8961 4.1517
O -0.4047 2.9567 9.3879
O 3.7922 1.1957 2.8397
O 1.5015 4.6570 8.0759
O 2.0221 1.9752 8.2530
O 4.3128 3.8776 3.0168
O 4.7671 7.8279 7.4555
O 7.0578 9.7303 2.2194
O 7.5784 7.0484 2.3965
O 5.2877 10.5098 7.6327
O 9.4845 8.7488 1.0844
O 7.1938 8.8094 6.3206
O 6.7779 8.7172 9.2613
O 9.0687 8.8410 4.0251
O 11.3988 6.6406 0.7930
O 9.1081 10.9177 6.0291
O 9.9500 8.3991 6.7172
O 12.2408 9.1591 1.4811
```

The corrected total energy (MP2020 scheme) comes out at -5.73 eV/atom. As for the formation enthalpy at 0 K: -0.67 eV/atom. The space group is P2_1/c.

No. 2
## V2Sn4H24C8O9 (PBE with a Hubbard U)

Data for an optimized crystal structure of V2Sn4H24C8O9.

Cell and atoms, written as extended XYZ:
```
188
Lattice="12.8490 0.0000 0.0000 0.0000 13.7164 0.0000 0.0000 0.0000 13.5658" Properties=species:S:1:pos:R:3 pbc="T T T"
V 0.3025 1.7849 3.3688
V 0.3025 1.7849 10.1970
V 6.1220 8.6431 3.4141
V 6.1220 8.6431 10.1517